_Assignment_
Next, count the lines below that contain the word "Pnc2" and give the number alone.

_Data_
-- begin --
Record 1
LiZr5TlF22 r²SCAN relaxed; raw total energy = -12.06 eV per atom; space-group type = Pnc2 (30); DFT formation energy = -3.8538 eV per atom
1.0
11.5621 0.0000 0.0000
0.0000 8.0325 0.0000
0.0000 0.0000 8.0355
Li Zr Tl F
2 10 2 44
Cartesian
0.0000 0.0000 0.0000
0.0000 4.0162 4.0178
2.9179 1.4478 1.4526
2.9179 2.5684 5.4703
2.9183 5.4627 2.5736
2.9183 6.5860 6.5914
5.7810 0.0000 4.0217
5.7810 4.0162 0.0039
8.6438 1.4464 6.5914
8.6438 2.5698 2.5736
8.6441 5.4640 5.4703
8.6441 6.5847 1.4526
0.0000 0.0000 3.9927
0.0000 4.0162 8.0104
0.9608 1.1275 1.1358
0.9608 2.8888 5.1536
0.9611 5.1487 2.8919
0.9611 6.9001 6.9097
2.4351 0.5619 5.7360
2.4353 1.7118 3.4602
2.4353 2.3044 7.4780
2.4351 3.4544 1.7183
2.4379 4.5780 6.3269
2.4380 5.7288 0.5669
2.4380 6.3199 4.5847
2.4379 7.4707 2.3091
3.4341 0.0015 0.0043
3.4341 4.0148 4.0221
4.6343 0.6898 2.4038
4.6333 1.6166 4.7108
4.6333 2.3996 0.6930
4.6343 3.3264 6.4216
4.6344 4.7051 1.6220
4.6348 5.6347 7.3505
4.6348 6.4140 3.3328
4.6344 7.3436 5.6397
6.9276 0.6888 5.6397
6.9273 1.6185 3.3328
6.9273 2.3977 7.3505
6.9276 3.3274 1.6220
6.9278 4.7060 6.4216
6.9288 5.6329 0.6930
6.9288 6.4158 4.7108
6.9278 7.3427 2.4038
8.1280 8.0310 0.0043
8.1280 4.0177 4.0221
9.1242 0.5618 2.3091
9.1241 1.7126 4.5847
9.1241 2.3037 0.5669
9.1242 3.4544 6.3269
9.1270 4.5781 1.7183
9.1268 5.7280 7.4780
9.1268 6.3207 3.4602
9.1270 7.4706 5.7360
10.6010 1.1324 6.9097
10.6010 2.8838 2.8919
10.6013 5.1437 5.1536
10.6013 6.9050 1.1358

Record 2
LiUF5 r²SCAN relaxed; raw total energy = -17.81 eV per atom; space-group type = I4_1/a (88); DFT formation energy = -3.8202 eV per atom
1.0
-7.4084 7.4084 3.2441
7.4084 -7.4084 3.2441
7.4084 7.4084 -3.2441
Li U F
8 8 40
Cartesian
6.2022 -4.6864 3.0980
1.2062 4.6864 -0.1461
8.3906 2.4980 1.4759
0.9822 2.4980 1.7682
6.4262 4.9104 1.4759
-0.9822 4.9104 1.7682
6.2022 2.7220 3.3903
1.2062 12.0948 0.1461
4.5369 2.7992 -0.0094
6.5034 -0.8327 1.6127
6.5034 6.5757 -1.6127
2.8715 -2.7992 3.2347
4.5369 10.2076 0.0094
0.9050 0.8327 4.8568
0.9050 8.2411 1.6315
2.8715 4.6092 3.2535
8.3847 -2.1210 1.1340
13.7386 0.6532 -0.0255
11.7850 -1.3811 0.8912
4.4878 -4.2455 2.4481
8.9916 2.7279 -0.4880
0.7376 2.5173 -0.1226
5.0853 0.6724 0.7308
2.9206 4.2455 -0.7960
7.9496 0.7836 0.8260
8.3847 5.2874 -1.1340
5.8252 4.6805 -0.4880
4.3766 -1.3811 2.3529
6.6708 -2.5173 3.1215
10.4594 2.6260 1.5966
0.5413 0.7836 2.4181
3.0510 2.6260 1.6475
6.2215 2.9666 1.4995
5.0853 8.0808 -0.7308
1.0782 6.7552 -0.0255
-1.1869 2.9666 1.7447
8.5953 4.4418 1.4995
6.3302 0.6532 3.2696
2.3231 -0.6724 3.9750
1.1869 4.4418 1.7447
4.3573 4.7824 1.5966
6.8671 6.6248 0.8260
-3.0510 4.7824 1.6475
0.7376 9.9257 0.1226
3.0318 8.7894 0.8912
1.5832 2.7279 3.7322
-0.9763 2.1210 4.3782
-0.5413 6.6248 2.4181
4.4878 3.1629 4.0402
2.3231 6.7360 2.5133
6.6708 4.8911 3.3667
-1.5832 4.6805 3.7322
2.9206 11.6538 0.7960
-4.3766 8.7894 2.3529
-6.3302 6.7552 3.2696
-0.9763 9.5294 2.1101

Record 3
LiVF5 r²SCAN relaxed; raw total energy = -7.71 eV per atom; space-group type = P2_1/c (14); DFT formation energy = -3.1219 eV per atom
1.0
5.1053 0.0000 0.0000
0.0000 9.4339 0.0000
-2.0365 0.0000 7.1573
Li V F
4 4 20
Cartesian
-0.5677 0.1390 2.2590
-1.5859 4.5779 5.8376
4.6547 4.8559 1.3197
3.6365 9.2949 4.8984
1.9142 2.3296 0.9893
0.8959 2.3873 4.5679
2.1729 7.0466 2.5894
1.1547 7.1042 6.1681
0.5516 1.1710 0.9817
-0.4667 3.5459 4.5603
-0.2662 1.0781 3.8812
0.7521 3.6389 0.3026
-0.1503 5.8922 6.0435
0.8679 8.2586 2.4649
1.0645 5.7455 1.9522
0.0463 8.4053 5.5308
0.3607 1.8677 6.3610
1.3789 2.8493 2.7823
1.6899 6.5846 4.3750
2.7082 7.5662 0.7964
3.0226 1.0286 1.6265
2.0043 3.6883 5.2052
2.2009 1.1753 4.6925
3.2192 3.5417 1.1138
2.3168 5.7950 6.8548
3.3350 8.3558 3.2761
3.5355 5.8880 2.5970
2.5173 8.2628 6.1757

Record 4
LiVF5 r²SCAN relaxed; raw total energy = -7.69 eV per atom; space-group type = Pnma (62); DFT formation energy = -3.0994 eV per atom
1.0
7.4451 0.0000 0.0000
0.0000 7.2441 0.0000
0.0000 0.0000 6.4431
Li V F
4 4 20
Cartesian
-- stop --

_Completed_
1